Each of the Treating Autism roadshows features wonderful professional and parent speakers.
They will share their knowledge, experience and simple nutritional tools. Their aim is to help improve negative autism behaviours and symptoms and make a positive difference to your child’s health and quality of life.
Cost of each show: £10.00, including lunch. TA members will receive a refund after they attend the event (non-members can join on the day!).
=====
[1]
Density functional theory data (ωB97M-V/def2-TZVPD) for a cluster of 2 separate species, CH2IN2PS in total in a non-equilibrium geometry.

The SMILES is [H]/P=N/N=C=S.I. The value obtained for the LUMO energy is -0.0394 Ha. As for the HOMO energy: -0.3231 Eh. The calculation puts the relative energy (zero: lowest compared OMol25 entry of this formula, charge and spin) at 57.8 kcal per mole.

Last column: Löwdin charge in e.
Positions of all 8 atoms, in Å:
H 1.7128 -2.1160 0.7247  -0.172
P 2.0182 -1.3054 -0.3446  0.802
N 0.6426 -0.5918 -0.4140  -0.451
N 0.3999 0.4605 -1.1728  -0.110
C -0.5576 1.0219 -1.5917  -0.791
S -1.6104 1.9141 -2.3141  0.708
I -0.6124 0.5766 2.8510  0.365
H -1.9933 0.0401 2.2616  -0.351

Forces on the atoms, in the same order (eV/Å):
-0.46 -0.71 0.65
2.05 0.17 -0.97
-1.50 -0.01 1.15
0.99 -0.56 0.00
-0.60 0.90 -0.78
-0.48 0.19 -0.08
0.16 0.10 0.13
-0.16 -0.08 -0.10

[2]
Density functional theory data (ωB97M-V/def2-TZVPD) for a structure of composition C16H14Cl3GeIrN2O2Se.

As for the net charge: -1. The value obtained for the LUMO energy (alpha / beta) is 0.0875 / 0.0740 Ha. As for the HOMO energy (alpha / beta): -0.1878 / -0.1815 Eh. The expectation value of S² is 0.759. As for the spin multiplicity: 2. The calculation puts the relative energy (zero: lowest compared OMol25 entry of this formula, charge and spin) at 15.5 kcal per mole.

Last column: Löwdin spin population.
Positions of all 40 atoms, in Å:
Ir 1.0934 1.3475 -2.2572  0.037
Cl 2.8161 -2.0116 -3.0166  0.001
Ge 1.9680 -0.1551 -3.8395  0.015
Cl 3.5173 0.3998 -5.2774  0.015
Cl 0.4552 -1.0476 -5.2101  0.001
C -0.4972 -3.4546 -1.9136  0.000
C -0.1971 -2.6443 -0.6797  0.000
C 0.7997 -3.0623 0.1934  0.000
C 1.1223 -2.2993 1.3034  0.000
C 0.4895 -1.0925 1.5435  0.000
C -0.5010 -0.6465 0.6727  0.000
N -1.1107 0.6201 0.7975  0.000
C -0.7454 1.4644 1.8770  0.000
C -1.2319 1.1685 3.1493  0.000
C -0.9268 1.9743 4.2306  0.000
C -0.1301 3.0999 4.0535  0.000
C 0.3659 3.3891 2.7950  0.000
C 0.0741 2.5870 1.6942  0.005
C 0.7468 2.9378 0.3727  0.011
O 1.7681 3.6035 0.3935  0.064
O 0.1456 2.4807 -0.6791  0.017
C -0.8787 -1.4550 -0.4123  -0.001
C -2.0210 -1.0224 -1.2839  -0.001
H 0.2147 -4.2728 -2.0075  0.000
H -0.4092 -2.8470 -2.8174  0.000
H -1.5025 -3.8840 -1.8871  0.000
H 1.3438 -3.9739 -0.0188  0.000
H 1.9113 -2.6257 1.9698  0.000
H 0.7961 -0.4716 2.3737  0.000
H -0.9713 1.1591 -0.0576  0.000
H -1.8590 0.2928 3.2673  0.000
H -1.3171 1.7295 5.2111  0.000
H 0.1096 3.7387 4.8941  0.000
H 1.0200 4.2353 2.6306  0.000
H -2.7892 -0.5499 -0.6685  0.000
H -2.4539 -1.8730 -1.8070  0.000
H -2.3366 0.2868 -2.9630  -0.001
Se 3.2082 2.3896 -1.9281  0.835
N -1.6255 -0.0265 -2.3142  0.008
C -0.4617 0.5112 -2.3843  -0.007

Forces on the atoms, in the same order (eV/Å):
0.05 -0.08 0.07
-0.01 0.00 -0.01
0.00 -0.01 0.01
-0.01 0.01 0.00
0.01 -0.01 0.00
0.01 0.01 -0.01
0.01 0.00 0.01
-0.01 0.00 -0.01
0.00 0.00 0.00
0.01 -0.01 0.00
-0.01 0.00 0.00
0.00 0.00 0.00
0.00 0.00 -0.01
0.00 -0.01 0.00
=====
For more information and to book, visit: treatingautism.org.uk/events/
Nutritional Strategies for Autism (The Bio-Medical Approach)
By Deborah Colson MSc DipION, Nutritional Therapist and Bio-Medical Autism Specialist.
Learn how simple diet changes and specific food supplements can make a positive difference to health and quality of life. www.thinkingnutrition.co.uk and www.brainbiocentre.com
Applied Behaviour Analysis for Autism
By Duncan Fennemore, Consultant Behaviour Analyst, The Centre for Educational Intervention in Early Childhood. Individualised home and school-based programmes based on ABA principles can maximise a child’s progress across IQ, language, play and adaptive (i.e. daily living) skills, as well as managing problem behaviours. www.ceiec.co.uk
Treating Autism is a Journey – One Family’s Story
Jo-Ann is passionate about early intervention and making parents aware of help and support available to them. www.autismparentempower.org
Nutrition for Autism (The Bio-Medical Approach)
Speaker: Diana Wright.
A nutritious diet, appropriate food choices and informed use of supplements can be helpful in addressing such issues as sleep, digestion, mood and behaviour. This can lead to a better quality of life of people with autism and their families. www.dianawright.co.uk
Behavioural Optometry for Autism
By Smita Trivedi, Behavioural Optometrist, B.Sc. (Hons), McOptom. DCLP
Smita will discuss the importance of a detailed evaluation of a child’s vision as the ability to process incoming visual information, and how optometric vision therapy can help to improve visual skills in autism. www.smitatrivedi.com
Treating Autism is a Journey – One Family’s Story
Nina will share some of her experiences, including tips on implementing a clean diet and increasing variety of foods with picky eaters. Her belief is that there is no limit to what our kids can accomplish with the right support.
There will be tea and coffee with snacks throughout the day. During the last hour we will offer lunch and there will be an opportunity for chatting informally to our TA team and other parents.
We would like to thank the Big Lottery for funding our charity and enabling us to continue to support our community of parents.
We would also like to thank our event sponsor, Mandi Mart. This has enabled us to provide a much-needed socializing opportunity for parents that will follow the presentations. www.mandimart.co.uk